File:
........
No. 1
# CsCaMg6 PBE relaxed
data_CsCaMg6
_chemical_formula_sum 'Cs2 Ca2 Mg12'
_cell_length_a 5.259
_cell_length_b 7.105
_cell_length_c 13.507
_cell_angle_alpha 90.00
_cell_angle_beta 90.00
_cell_angle_gamma 90.00
_space_group_name_H-M_alt 'P 1'
_space_group_IT_number 1
_space_group_name_Hall 'P 1'
loop_
_atom_site_label
_atom_site_fract_x
_atom_site_fract_y
_atom_site_fract_z
Cs1 0.500 0.500 0.182
Cs2 0.500 0.000 0.682
Ca1 0.500 0.000 0.166
Ca2 0.500 0.500 0.666
Mg1 0.500 0.239 0.423
Mg2 0.500 0.761 0.423
Mg3 0.000 0.768 0.047
Mg4 0.000 0.232 0.047
Mg5 0.000 0.000 0.350
Mg6 0.000 0.500 0.362
Mg7 0.500 0.739 0.923
Mg8 0.500 0.261 0.923
Mg9 0.000 0.268 0.547
Mg10 0.000 0.732 0.547
Mg11 0.000 0.500 0.850
Mg12 0.000 0.000 0.862
# energy: -1.32 eV/atom
# total magnetization: 0.0 μB per cell
# formation energy: 0.2422 eV/atom
# polymorph energy (0 for the lowest one): 0 meV/atom


No. 2
# CsCaMg14 PBE relaxed
data_CsCaMg14
_chemical_formula_sum 'Cs1 Ca1 Mg14'
_cell_length_a 6.816
_cell_length_b 6.816
_cell_length_c 10.704
_cell_angle_alpha 90.00
_cell_angle_beta 90.00
_cell_angle_gamma 120.00
_space_group_name_H-M_alt 'P 1'
_space_group_IT_number 1
_space_group_name_Hall 'P 1'
loop_
_atom_site_label
_atom_site_fract_x
_atom_site_fract_y
_atom_site_fract_z
Cs1 0.167 0.333 0.625
Ca1 0.167 0.333 0.125
Mg1 0.173 0.837 0.125
Mg2 0.173 0.836 0.625
Mg3 0.663 0.327 0.125
Mg4 0.664 0.327 0.625
Mg5 0.663 0.837 0.125
Mg6 0.664 0.836 0.625
Mg7 0.344 0.156 0.365
Mg8 0.344 0.156 0.885
Mg9 0.344 0.688 0.365
Mg10 0.344 0.688 0.885
Mg11 0.812 0.156 0.365
Mg12 0.812 0.156 0.885
Mg13 0.833 0.667 0.376
Mg14 0.833 0.667 0.874
# energy: -1.42 eV/atom
# total magnetization: 0.0 μB per cell
# formation energy: 0.1611 eV/atom
# polymorph energy (0 for the lowest one): 0 meV/atom
# symmetry: P-6m2 (187)


No. 3
# CsCaMg6 PBE relaxed
data_CsCaMg6
_chemical_formula_sum 'Cs2 Ca2 Mg12'
_cell_length_a 5.545
_cell_length_b 7.126
_cell_length_c 12.418
_cell_angle_alpha 90.00
_cell_angle_beta 90.00
_cell_angle_gamma 90.00
_space_group_name_H-M_alt 'P 1'
_space_group_IT_number 1
_space_group_name_Hall 'P 1'
loop_
_atom_site_label
_atom_site_fract_x
_atom_site_fract_y
_atom_site_fract_z
Cs1 0.500 0.500 0.161
Cs2 0.500 0.000 0.661
Ca1 0.000 0.500 0.345
Ca2 0.000 0.000 0.845
Mg1 0.000 0.778 0.080
Mg2 0.000 0.222 0.080
Mg3 0.000 0.000 0.333
Mg4 0.500 0.248 0.417
Mg5 0.500 0.752 0.417
Mg6 0.500 0.000 0.166
Mg7 0.000 0.278 0.580
Mg8 0.000 0.722 0.580
Mg9 0.000 0.500 0.833
Mg10 0.500 0.748 0.917
Mg11 0.500 0.252 0.917
Mg12 0.500 0.500 0.666
# energy: -1.31 eV/atom
# total magnetization: 0.0 μB per cell
# formation energy: 0.2559 eV/atom
# polymorph energy (0 for the lowest one): 14 meV/atom


No. 4
# Cs2Ca5N4 PBE relaxed
data_Cs2Ca5N4
_chemical_formula_sum 'Cs8 Ca20 N16'
_cell_length_a 7.933
_cell_length_b 7.933
_cell_length_c 17.832
_cell_angle_alpha 90.00
_cell_angle_beta 90.00
_cell_angle_gamma 90.00
_space_group_name_H-M_alt 'P 1'
_space_group_IT_number 1
_space_group_name_Hall 'P 1'
loop_
_atom_site_label
_atom_site_fract_x
_atom_site_fract_y
_atom_site_fract_z
Cs1 0.034 0.966 0.250
Cs2 0.466 0.966 0.750
Cs3 0.034 0.534 0.750
Cs4 0.466 0.534 0.250
Cs5 0.966 0.034 0.750
Cs6 0.534 0.034 0.250
Cs7 0.966 0.466 0.250
Cs8 0.534 0.466 0.750
Ca1 0.750 0.750 0.419
Ca2 0.750 0.750 0.919
Ca3 0.250 0.250 0.581
Ca4 0.250 0.250 0.081
Ca5 0.135 0.580 0.437
Ca6 0.365 0.580 0.937
Ca7 0.135 0.920 0.937
Ca8 0.365 0.920 0.437
Ca9 0.580 0.135 0.937
Ca10 0.920 0.135 0.437
Ca11 0.580 0.365 0.437
Ca12 0.920 0.365 0.937
Ca13 0.865 0.420 0.563
Ca14 0.635 0.420 0.063
Ca15 0.865 0.080 0.063
Ca16 0.635 0.080 0.563
Ca17 0.420 0.865 0.063
Ca18 0.080 0.865 0.563
Ca19 0.420 0.635 0.563
Ca20 0.080 0.635 0.063
N1 0.635 0.052 0.422
N2 0.865 0.052 0.922
N3 0.635 0.448 0.922
N4 0.865 0.448 0.422
N5 0.052 0.635 0.922
N6 0.448 0.635 0.422
N7 0.052 0.865 0.422
N8 0.448 0.865 0.922
N9 0.365 0.948 0.578
N10 0.135 0.948 0.078
N11 0.365 0.552 0.078
N12 0.135 0.552 0.578
N13 0.948 0.365 0.078
........

Exercise:
What is needed: duplicate all of the rows further up character by character.

Completed:
No. 1
# CsCaMg6 PBE relaxed
data_CsCaMg6
_chemical_formula_sum 'Cs2 Ca2 Mg12'
_cell_length_a 5.259
_cell_length_b 7.105
_cell_length_c 13.507
_cell_angle_alpha 90.00
_cell_angle_beta 90.00
_cell_angle_gamma 90.00
_space_group_name_H-M_alt 'P 1'
_space_group_IT_number 1
_space_group_name_Hall 'P 1'
loop_
_atom_site_label
_atom_site_fract_x
_atom_site_fract_y
_atom_site_fract_z
Cs1 0.500 0.500 0.182
Cs2 0.500 0.000 0.682
Ca1 0.500 0.000 0.166
Ca2 0.500 0.500 0.666
Mg1 0.500 0.239 0.423
Mg2 0.500 0.761 0.423
Mg3 0.000 0.768 0.047
Mg4 0.000 0.232 0.047
Mg5 0.000 0.000 0.350
Mg6 0.000 0.500 0.362
Mg7 0.500 0.739 0.923
Mg8 0.500 0.261 0.923
Mg9 0.000 0.268 0.547
Mg10 0.000 0.732 0.547
Mg11 0.000 0.500 0.850
Mg12 0.000 0.000 0.862
# energy: -1.32 eV/atom
# total magnetization: 0.0 μB per cell
# formation energy: 0.2422 eV/atom
# polymorph energy (0 for the lowest one): 0 meV/atom


No. 2
# CsCaMg14 PBE relaxed
data_CsCaMg14
_chemical_formula_sum 'Cs1 Ca1 Mg14'
_cell_length_a 6.816
_cell_length_b 6.816
_cell_length_c 10.704
_cell_angle_alpha 90.00
_cell_angle_beta 90.00
_cell_angle_gamma 120.00
_space_group_name_H-M_alt 'P 1'
_space_group_IT_number 1
_space_group_name_Hall 'P 1'
loop_
_atom_site_label
_atom_site_fract_x
_atom_site_fract_y
_atom_site_fract_z
Cs1 0.167 0.333 0.625
Ca1 0.167 0.333 0.125
Mg1 0.173 0.837 0.125
Mg2 0.173 0.836 0.625
Mg3 0.663 0.327 0.125
Mg4 0.664 0.327 0.625
Mg5 0.663 0.837 0.125
Mg6 0.664 0.836 0.625
Mg7 0.344 0.156 0.365
Mg8 0.344 0.156 0.885
Mg9 0.344 0.688 0.365
Mg10 0.344 0.688 0.885
Mg11 0.812 0.156 0.365
Mg12 0.812 0.156 0.885
Mg13 0.833 0.667 0.376
Mg14 0.833 0.667 0.874
# energy: -1.42 eV/atom
# total magnetization: 0.0 μB per cell
# formation energy: 0.1611 eV/atom
# polymorph energy (0 for the lowest one): 0 meV/atom
# symmetry: P-6m2 (187)


No. 3
# CsCaMg6 PBE relaxed
data_CsCaMg6
_chemical_formula_sum 'Cs2 Ca2 Mg12'
_cell_length_a 5.545
_cell_length_b 7.126
_cell_length_c 12.418
_cell_angle_alpha 90.00
_cell_angle_beta 90.00
_cell_angle_gamma 90.00
_space_group_name_H-M_alt 'P 1'
_space_group_IT_number 1
_space_group_name_Hall 'P 1'
loop_
_atom_site_label
_atom_site_fract_x
_atom_site_fract_y
_atom_site_fract_z
Cs1 0.500 0.500 0.161
Cs2 0.500 0.000 0.661
Ca1 0.000 0.500 0.345
Ca2 0.000 0.000 0.845
Mg1 0.000 0.778 0.080
Mg2 0.000 0.222 0.080
Mg3 0.000 0.000 0.333
Mg4 0.500 0.248 0.417
Mg5 0.500 0.752 0.417
Mg6 0.500 0.000 0.166
Mg7 0.000 0.278 0.580
Mg8 0.000 0.722 0.580
Mg9 0.000 0.500 0.833
Mg10 0.500 0.748 0.917
Mg11 0.500 0.252 0.917
Mg12 0.500 0.500 0.666
# energy: -1.31 eV/atom
# total magnetization: 0.0 μB per cell
# formation energy: 0.2559 eV/atom
# polymorph energy (0 for the lowest one): 14 meV/atom


No. 4
# Cs2Ca5N4 PBE relaxed
data_Cs2Ca5N4
_chemical_formula_sum 'Cs8 Ca20 N16'
_cell_length_a 7.933
_cell_length_b 7.933
_cell_length_c 17.832
_cell_angle_alpha 90.00
_cell_angle_beta 90.00
_cell_angle_gamma 90.00
_space_group_name_H-M_alt 'P 1'
_space_group_IT_number 1
_space_group_name_Hall 'P 1'
loop_
_atom_site_label
_atom_site_fract_x
_atom_site_fract_y
_atom_site_fract_z
Cs1 0.034 0.966 0.250
Cs2 0.466 0.966 0.750
Cs3 0.034 0.534 0.750
Cs4 0.466 0.534 0.250
Cs5 0.966 0.034 0.750
Cs6 0.534 0.034 0.250
Cs7 0.966 0.466 0.250
Cs8 0.534 0.466 0.750
Ca1 0.750 0.750 0.419
Ca2 0.750 0.750 0.919
Ca3 0.250 0.250 0.581
Ca4 0.250 0.250 0.081
Ca5 0.135 0.580 0.437
Ca6 0.365 0.580 0.937
Ca7 0.135 0.920 0.937
Ca8 0.365 0.920 0.437
Ca9 0.580 0.135 0.937
Ca10 0.920 0.135 0.437
Ca11 0.580 0.365 0.437
Ca12 0.920 0.365 0.937
Ca13 0.865 0.420 0.563
Ca14 0.635 0.420 0.063
Ca15 0.865 0.080 0.063
Ca16 0.635 0.080 0.563
Ca17 0.420 0.865 0.063
Ca18 0.080 0.865 0.563
Ca19 0.420 0.635 0.563
Ca20 0.080 0.635 0.063
N1 0.635 0.052 0.422
N2 0.865 0.052 0.922
N3 0.635 0.448 0.922
N4 0.865 0.448 0.422
N5 0.052 0.635 0.922
N6 0.448 0.635 0.422
N7 0.052 0.865 0.422
N8 0.448 0.865 0.922
N9 0.365 0.948 0.578
N10 0.135 0.948 0.078
N11 0.365 0.552 0.078
N12 0.135 0.552 0.578
N13 0.948 0.365 0.078